_File_
/*
# 1
This entry pairs a crystal structure of Lu2ZrHg with its theoretical PXRD pattern. Radiation: copper Kα. Structure: DFT lattice parameters and positions (PBE).
Neutral-atom scattering factors, no anomalous dispersion.

```
Lu2ZrHg
1.0
3.426 0.000 0.000
0.000 3.426 0.000
0.000 0.000 8.560
Lu Zr Hg
2 1 1
direct
0.000 0.000 0.240
0.000 0.000 0.760
0.500 0.500 0.500
0.500 0.500 0.000
```

The 10 most intense peaks (2θ = 10–90°), by angle:
- 10.33°, rel. 14
- 33.50°, rel. 100
- 37.11°, rel. 38
- 42.23°, rel. 13
- 53.50°, rel. 14
- 57.46°, rel. 21
- 64.61°, rel. 30
- 70.41°, rel. 11
- 71.65°, rel. 10
- 88.65°, rel. 7

***

# 2
This entry pairs a crystal structure of MgHg7 with its theoretical PXRD pattern. Radiation: copper Kα. Structure: DFT lattice parameters and positions (PBE).
Neutral-atom scattering factors, no anomalous dispersion.

```
MgHg7
1.0
13.508 0.000 0.000
0.000 3.750 0.000
-6.094 0.000 7.921
Mg Hg
2 14
direct
0.000 0.000 0.000
0.500 0.500 0.000
0.000 0.000 0.500
0.006 0.500 0.247
0.240 0.500 0.118
0.247 0.000 0.371
0.253 0.500 0.629
0.260 0.000 0.882
0.494 0.000 0.753
0.500 0.500 0.500
0.506 0.000 0.247
0.740 0.000 0.118
0.747 0.500 0.371
0.753 0.000 0.629
0.760 0.500 0.882
0.994 0.500 0.753
```

The 10 most intense peaks (2θ = 10–90°), by angle:
- 31.90°, rel. 100
- 33.48°, rel. 43
- 37.33°, rel. 66
- 37.61°, rel. 32
- 42.79°, rel. 22
- 48.55°, rel. 16
- 55.19°, rel. 21
- 60.26°, rel. 16
- 60.85°, rel. 16
- 62.99°, rel. 15

***

# 3
This entry pairs a crystal structure of Mg5Hg with its theoretical PXRD pattern. Radiation: copper Kα. Structure: DFT lattice parameters and positions (PBE).
Neutral-atom scattering factors, no anomalous dispersion.

```
Mg5Hg
1.0
4.493 0.000 0.000
0.000 13.677 0.000
0.000 0.000 4.307
Mg Hg
10 2
direct
0.000 0.000 0.000
0.000 0.165 0.500
0.000 0.336 0.000
0.000 0.664 0.000
0.000 0.835 0.500
0.500 0.164 0.000
0.500 0.335 0.500
0.500 0.500 0.000
0.500 0.665 0.500
0.500 0.836 0.000
0.000 0.500 0.500
0.500 0.000 0.500
```

The 10 most intense peaks (2θ = 10–90°), by angle:
- 12.95°, rel. 72
- 20.62°, rel. 25
- 20.81°, rel. 50
- 24.42°, rel. 34
- 27.88°, rel. 25
- 29.46°, rel. 43
- 34.93°, rel. 100
- 39.54°, rel. 18
- 40.14°, rel. 17
- 44.09°, rel. 24

***

# 4
This entry pairs a crystal structure of Mg3Hg5 with its theoretical PXRD pattern. Radiation: copper Kα. Structure: DFT lattice parameters and positions (PBE).
Neutral-atom scattering factors, no anomalous dispersion.

```
Mg3Hg5
1.0
8.266 0.000 0.000
0.000 9.433 0.000
0.000 0.000 4.603
Mg Hg
6 10
direct
0.000 0.000 0.000
0.000 0.271 0.500
0.000 0.729 0.500
0.500 0.229 0.500
0.500 0.500 0.000
0.500 0.771 0.500
0.000 0.500 0.000
0.222 0.000 0.500
0.250 0.250 0.000
0.250 0.750 0.000
0.278 0.500 0.500
0.500 0.000 0.000
0.722 0.500 0.500
0.750 0.250 0.000
0.750 0.750 0.000
0.778 0.000 0.500
```

The 10 most intense peaks (2θ = 10–90°), by angle:
- 21.50°, rel. 18
- 24.06°, rel. 13
- 27.07°, rel. 23
- 34.83°, rel. 100
- 38.16°, rel. 20
- 39.14°, rel. 19
- 55.81°, rel. 14
- 66.83°, rel. 15
- 68.15°, rel. 15
- 73.51°, rel. 12

***

# 5
This entry pairs a crystal structure of Mg2Hg with its theoretical PXRD pattern. Radiation: copper Kα. Structure: DFT lattice parameters and positions (PBE).
Neutral-atom scattering factors, no anomalous dispersion.

```
Mg2Hg
1.0
6.693 0.000 0.000
0.000 6.693 0.000
0.000 0.000 6.212
Mg Hg
8 4
direct
0.169 0.331 0.000
0.169 0.669 0.500
0.331 0.169 0.500
0.331 0.831 0.000
0.669 0.169 0.000
0.669 0.831 0.500
0.831 0.331 0.500
0.831 0.669 0.000
0.000 0.000 0.250
0.000 0.000 0.750
0.500 0.500 0.250
0.500 0.500 0.750
```

The 10 most intense peaks (2θ = 10–90°), by angle:
- 18.75°, rel. 100
- 26.64°, rel. 37
- 34.54°, rel. 59
- 38.02°, rel. 23
- 39.59°, rel. 46
- 42.72°, rel. 37
- 48.35°, rel. 18
- 52.30°, rel. 25
- 69.75°, rel. 12
- 76.01°, rel. 14

***

# 6
*/
_Wanted_
The reader should retype the lines earlier on from the one with "0.250 0.250" to the one with "69.75°, rel." without altering anything.
_Outcome_
0.250 0.250 0.000
0.250 0.750 0.000
0.278 0.500 0.500
0.500 0.000 0.000
0.722 0.500 0.500
0.750 0.250 0.000
0.750 0.750 0.000
0.778 0.000 0.500
```

The 10 most intense peaks (2θ = 10–90°), by angle:
- 21.50°, rel. 18
- 24.06°, rel. 13
- 27.07°, rel. 23
- 34.83°, rel. 100
- 38.16°, rel. 20
- 39.14°, rel. 19
- 55.81°, rel. 14
- 66.83°, rel. 15
- 68.15°, rel. 15
- 73.51°, rel. 12

***

# 5
This entry pairs a crystal structure of Mg2Hg with its theoretical PXRD pattern. Radiation: copper Kα. Structure: DFT lattice parameters and positions (PBE).
Neutral-atom scattering factors, no anomalous dispersion.

```
Mg2Hg
1.0
6.693 0.000 0.000
0.000 6.693 0.000
0.000 0.000 6.212
Mg Hg
8 4
direct
0.169 0.331 0.000
0.169 0.669 0.500
0.331 0.169 0.500
0.331 0.831 0.000
0.669 0.169 0.000
0.669 0.831 0.500
0.831 0.331 0.500
0.831 0.669 0.000
0.000 0.000 0.250
0.000 0.000 0.750
0.500 0.500 0.250
0.500 0.500 0.750
```

The 10 most intense peaks (2θ = 10–90°), by angle:
- 18.75°, rel. 100
- 26.64°, rel. 37
- 34.54°, rel. 59
- 38.02°, rel. 23
- 39.59°, rel. 46
- 42.72°, rel. 37
- 48.35°, rel. 18
- 52.30°, rel. 25
- 69.75°, rel. 12